
Back to the future? Dutch New Worlds

Dutch New Worlds by Christian Salewski is the standard book on Dutch scenario thinking between 1970 and 2000, according to Allard Jolles.

The Netherlands Now As Design, Carel Weeber. New Netherlands 2050 (1987)

The book Dutch New Worlds: Scenarios in Physical Planning and Design in the Netherlands, 1970-2000 by Christian Salewski appeared in 2012 and recently won the PHS prize for innovative books on planning history. Now the book will probably receive the attention it deserves. And rightly so, because it has become nothing less than the standard work on planning scenarios in the Netherlands between 1970 and 2000. The book convincingly shows all that design research has influenced, and especially what it hasn’t. At the same time, professional designers will read it and find themselves transported back in time into their profession, as it once existed, not as solitary individuals but as exponents of a particular era. It is a chastening experience.

Calculated molecules, kept here for reference:
~~~
# 1
86
Properties=species:S:1:pos:R:3 method="wB97M-V/def2-TZVPD" e_tot_ha=-4940.54339 orbital_gap_ev=5.4460 spin_multiplicity=2 s2=0.77 total_charge=+3 homo_energy_ev=-16.425 de_lowest_kj_mol=0.0
Pb -0.585 0.120 1.540
N -0.355 -2.839 5.211
C 0.034 -1.657 4.740
N -0.413 -1.519 3.503
C -1.093 -2.683 3.283
N -1.073 -3.510 4.298
C -1.792 -2.964 2.026
C -2.457 -4.166 1.815
N -3.101 -4.413 0.683
C -3.094 -3.459 -0.237
C -2.428 -2.257 -0.050
N -1.765 -2.013 1.083
H -0.193 -3.242 6.124
H 0.615 -0.948 5.305
H -2.461 -4.931 2.580
H -3.631 -3.645 -1.159
H -2.426 -1.499 -0.817
N -3.412 3.297 1.523
C -4.245 3.727 0.836
N -5.187 4.212 0.062
C -4.846 5.089 -1.063
C -5.364 6.504 -0.721
C -6.845 6.468 -0.371
C -7.122 5.499 0.769
C -6.600 4.086 0.422
H -5.379 4.690 -1.929
H -3.775 5.043 -1.227
H -5.167 7.123 -1.595
H -4.772 6.905 0.105
H -7.432 6.191 -1.250
H -7.171 7.467 -0.079
H -8.189 5.394 0.966
H -6.648 5.830 1.696
H -7.108 3.706 -0.468
H -6.693 3.381 1.243
F -0.735 0.169 -1.026
As -1.972 1.434 -1.391
F -2.844 0.276 -2.291
F -2.786 0.839 0.074
F -3.186 2.638 -1.582
F -1.042 2.468 -0.345
F -1.069 1.934 -2.740
C 5.506 0.869 -0.271
C 5.334 -1.549 1.012
C 6.322 -1.132 2.042
C 5.713 -2.516 -0.048
O 4.200 -1.016 1.053
Si 2.546 -1.203 -0.067
O 1.448 -0.672 0.892
O 3.260 -0.253 -1.176
C 2.872 0.830 -2.102
C 2.118 1.898 -1.332
C 2.046 0.226 -3.221
C 4.209 1.349 -2.616
O 2.697 -2.722 -0.525
C 1.760 -3.857 -0.491
C 2.511 -5.031 -1.092
C 0.562 -3.473 -1.340
C 1.382 -4.125 0.954
H 6.570 0.731 -0.460
H 5.212 1.646 0.430
H 4.725 0.279 -0.765
H 7.327 -1.043 1.631
H 6.420 -1.929 2.791
H 6.000 -0.252 2.594
H 6.792 -2.537 -0.187
H 5.172 -2.353 -0.977
H 5.423 -3.516 0.296
H 1.167 1.518 -0.963
H 1.901 2.742 -1.986
H 2.711 2.261 -0.489
H 1.127 -0.197 -2.819
H 2.611 -0.546 -3.741
H 1.769 1.008 -3.929
H 4.794 1.836 -1.793
H 4.071 2.146 -3.348
H 4.805 0.560 -3.072
H 2.833 -4.805 -2.108
H 1.863 -5.906 -1.125
H 3.384 -5.285 -0.490
H 0.869 -3.285 -2.369
H 0.085 -2.570 -0.946
H -0.173 -4.279 -1.345
H 2.262 -4.394 1.540
H 0.678 -4.956 1.007
H 0.922 -3.242 1.405

=====

# 2
75
Properties=species:S:1:pos:R:3 method="wB97M-V/def2-TZVPD" e_tot_ha=-4500.86996 orbital_gap_ev=7.5835 total_charge=0 homo_energy_ev=-7.085 de_lowest_kj_mol=25.1
Sn 0.048 -0.062 -0.072
O 0.948 1.755 1.043
N 1.703 2.696 0.504
C 2.201 3.632 1.340
C 2.950 4.682 0.886
C 3.224 4.766 -0.480
C 2.738 3.793 -1.316
C 1.956 2.730 -0.834
S 1.321 1.535 -1.874
H 1.948 3.478 2.378
H 3.307 5.423 1.586
H 3.813 5.581 -0.878
H 2.937 3.810 -2.378
C -4.928 2.446 1.146
C -4.468 1.212 0.359
C -4.880 1.338 -1.107
C -5.097 -0.042 0.964
N -2.990 1.096 0.358
N -2.377 0.711 1.581
H -6.016 2.527 1.131
H -4.513 3.358 0.711
H -4.613 2.380 2.190
H -5.965 1.410 -1.196
H -4.530 0.464 -1.653
H -4.438 2.231 -1.556
H -6.179 0.001 0.836
H -4.893 -0.117 2.033
H -4.721 -0.935 0.463
H -2.598 1.997 0.108
H -2.585 -0.268 1.741
H -2.743 1.245 2.366
C -1.825 -5.255 -2.252
As -2.045 -3.456 -2.941
C -3.532 -3.553 -4.188
C -0.483 -3.121 -4.036
~~~

Soon is right now
The final sentence of Dutch New Worlds lingers a long time in the mind, not because it’s the end but because of what it claims. Physical planning scenarios “can be compared to research, but it is research of the present, not of the future. Scenarios can show what a decision was based on, and what the expectations of the decision-makers were.” Salewski always chooses his words carefully and here, too, he is very precise. To him, thinking about the future largely means reflecting on our own era. And anybody who, like Salewski, studies the history of previous virtual futures is presented not only with all those differing opinions about that future but also with the time when those ideas were articulated.

### Records of molecules from another source follow
Below is C8H14N2O in the gas phase at a distorted geometry, with properties calculated with wB97M-V/def2-TZVPD.

Last column: natural (NBO) charge in e.
Cartesian coordinates (Å):
C: 0.9381 0.9455 1.7054  -0.282
O: 1.1556 0.8181 0.2583  -0.538
C: 0.5911 -0.3405 -0.3812  0.232
C: 0.9347 -0.2219 -1.7893  -0.605
C: 1.2643 -1.5807 0.1707  -0.646
C: -0.8858 -0.3510 -0.0751  0.052
N: -1.6419 -1.4572 0.1611  -0.526
C: -2.9588 -1.1080 0.3413  0.142
N: -3.0113 0.1929 0.1153  -0.459
C: -1.7568 0.6665 -0.1320  0.116
C: -1.4996 2.1371 -0.1946  -0.626
H: 1.5005 1.7806 2.0670  0.198
H: 1.2889 0.1369 2.3563  0.172
H: -0.0131 1.2243 2.1101  0.184
H: 1.9670 -0.1273 -1.8074  0.220
H: 0.5242 -1.0125 -2.3317  0.214
H: 0.4251 0.6477 -2.2589  0.220
H: 2.3171 -1.3645 0.4844  0.238
H: 1.3230 -2.3211 -0.5970  0.218
H: 0.7151 -1.8982 1.0812  0.202
H: -1.0775 -2.3371 0.3808  0.417
H: -3.7843 -1.7603 0.4791  0.206
H: -2.3546 2.5165 -0.7947  0.221
H: -1.5367 2.5660 0.7267  0.211
H: -0.6309 2.3396 -0.6878  0.220

## Properties
Orbital gap, eV: 9.14
SMILES string: COC(C)(C)c1[nH]cnc1C
Charge: 0
Largest force on an atom, eV/Å: 4.59
LUMO energy, eV: 0.705

~~~~~

Entry 1:
# C50H93Cl30FN4Si

A cluster of 16 separate species, C50H93Cl30FN4Si in total (ωB97M-V with the def2-TZVPD basis set, the Open Molecules 2025 dataset).

Atoms and positions in Å:
1 C 6.987723 0.663957 2.196677
2 C 6.389192 1.795133 1.171920
3 C 5.686413 1.201696 -0.185870
4 C 4.553579 0.043621 0.066627
5 N 3.129323 0.544590 0.151119
6 C 2.477337 0.238802 1.486215
7 C 2.334206 -1.329088 2.042364
8 C 2.838186 -2.657866 1.219074
9 C 1.844145 -2.833248 -0.095194
10 C 0.305752 -2.982842 0.511077
11 N -0.497157 -1.684787 0.359587
12 C 1.645884 -1.570698 3.512408
13 C 1.126937 -0.277110 4.376593
14 C 0.474794 -0.619625 5.877415
15 C -1.152188 -0.403308 5.931327
16 F 1.100596 0.166273 6.969467
17 C 1.220708 1.300594 3.834975
18 N 0.682873 2.354388 4.760865
19 C 0.833646 3.688431 4.083010
20 C 1.481603 3.981073 2.618526
21 Si 1.573758 5.791545 1.873467
22 C 0.248729 6.983368 2.603706
23 C 1.154298 5.556922 -0.031482
24 C 3.386820 6.457592 1.937996
25 N 2.047892 2.887348 1.758424
26 C 1.901901 1.526328 2.375787
27 H 7.189849 -0.393226 1.686480
28 H 6.137895 0.448000 3.005664
29 H 7.943066 1.029875 2.793358
30 H 5.673014 2.574381 1.723346
31 H 7.314756 2.452182 0.804048
32 H 5.316174 2.109360 -0.852001
33 H 6.559135 0.690516 -0.818688
34 H 4.594995 -0.676391 -0.884755
35 H 4.819875 -0.616851 0.994883
36 H 2.542872 0.256441 -0.662242
37 H 3.982558 -2.628043 0.908002
38 H 2.724732 -3.581178 1.939748
39 H 2.151053 -3.767869 -0.770350
40 H 1.911292 -1.829740 -0.720453
41 H -0.261047 -3.825520 -0.116130
42 H 0.298884 -3.218162 1.677817
43 H -1.095347 -1.710078 -0.495421
44 H 0.130904 -0.859484 0.233177
45 H 1.524420 -2.661347 3.974982
46 H 0.674192 -1.770478 6.116828
47 H -1.380807 0.148243 6.964841
48 H -1.707569 -1.433938 5.992136
49 H -1.589730 0.166985 5.000650
50 H 0.445687 4.638194 4.693538

Second Report on National Physical Planning (1966). Spatial Structure Sketch of the Netherlands around 2000.

Soon was back then
In this respect, thinking about the future and thinking about history have much in common as disciplines. For not only do they examine periods on both sides of the present, but in their choice of subject they also serve “a topical pretext and objective in the present”, as French philosopher and journalist Raymond Aron (1905-1983) wrote in Dimensions de la conscience historique. The last chapter by Salewski is a fine endorsement of that. What did Aron write? He states that new history books can always be written about the same subject, because there is always a present-day pretext that determines which historical fragment should now be viewed in another light. And more than once, the present goal determines possible conclusions. That same ‘light’ is the measure when it comes to thinking about possible futures. Salewski convincingly shows that working with scenarios essentially comes down to making a match between desired, possible and probable futures, from the perspective of here and now. He also focuses on how that happens and, to illustrate his point, makes diagrams (sure to garner a following!), and looks in detail at the constantly new ways of looking at, say, Markerwaard or the entire country.

• The page is interrupted by calculated molecules:
........
{
  "formula": "C5H6O",
  "method": "ωB97M-V/def2-TZVPD",
  "elements": ["C", "C", "C", "C", "C", "O", "H", "H", "H", "H", "H", "H"],
  "coordinates": [[-1.9436, 0.7719, 0.9797], [-1.3954, 0.6879, -0.1036], [-0.3603, 0.5527, -1.1095], [0.8646, 0.0468, -0.3435], [0.7992, -1.1920, 0.5253], [1.8894, 0.6817, -0.4145], [-1.6112, 1.5183, 1.6611], [-0.6352, -0.1392, -1.9075], [-0.0670, 1.5226, -1.5470], [1.8063, -1.6097, 0.4738], [0.0462, -1.9223, 0.2149], [0.6070, -0.9189, 1.5708]],
  "forces_ev_per_a": [[0.7351, 0.5143, -1.0270], [-0.1368, -0.0765, 0.1089], [0.1234, -0.2164, -0.1543], [0.5758, 0.1309, -0.0359], [0.1157, -0.0292, -0.0832], [-0.1128, -0.0761, -0.0286], [-0.8273, 0.1417, 1.3544], [0.0138, -0.0376, -0.0496], [-0.3740, -0.3850, 0.1191], [-0.1771, -0.1818, 0.0897], [0.0997, 0.1819, 0.0126], [-0.0356, 0.0337, -0.3059]],
  "fmax_ev_per_a": 1.59,
  "smiles": "C#CCC(C)=O",
  "gap_ev": 10.60,
  "e_homo_ha": -0.360,
  "relative_energy_ev": 2.6832,
  "total_energy_ev": -7326.6014
}

***

{
  "formula": "C5H6O",
  "method": "ωB97M-V/def2-TZVPD",
  "elements": ["C", "C", "C", "C", "C", "O", "H", "H", "H", "H", "H", "H"],
  "coordinates": [[1.0770, -1.1859, -1.6680], [1.2236, -0.6369, -0.4933], [0.9963, -0.1111, 0.6770], [-0.4997, -0.1039, 0.9379], [-1.2192, 1.1824, 0.6018], [-1.0813, -1.1031, 1.2887], [0.9283, -0.5762, -2.5544], [1.0467, -2.2664, -1.7641], [1.7265, 0.3017, 1.3686], [-2.2255, 0.9510, 0.2451], [-0.6724, 1.7593, -0.1489], [-1.3004, 1.7892, 1.5097]],
  "forces_ev_per_a": [[0.0757, 0.0353, 0.1117], [-0.1388, -0.0468, -0.0621], [0.0522, -0.1817, -0.2359], [-0.2887, -0.1800, 0.1256], [-0.0864, 0.0640, 0.0213], [0.2115, 0.4691, 0.0149], [0.1433, -0.0870, 0.0635], [0.1550, 0.0921, -0.0687], [-0.1403, -0.0924, -0.1614], [0.1051, 0.0450, 0.1227], [-0.0916, -0.0917, 0.1423], [0.0029, -0.0258, -0.0738]],
  "fmax_ev_per_a": 0.51,
  "smiles": "C=C=CC(C)=O",
  "gap_ev": 10.44,
  "e_homo_ha": -0.349,
  "relative_energy_ev": 1.7967,
  "total_energy_ev": -7327.4878
}

***

{
  "formula": "C5H6O",
  "method": "ωB97M-V/def2-TZVPD",
  "elements": ["C", "C", "C", "C", "C", "O", "H", "H", "H", "H", "H", "H"],
  "coordinates": [[-2.5391, -0.0317, 0.9660], [-0.7436, 0.2372, -0.3701], [0.4306, 1.1093, -0.1727], [0.1658, -0.9840, -0.2526], [1.3371, -0.1002, 0.0986], [-3.5547, -0.0240, 0.4171], [0.3509, 1.4090, -1.2683], [0.6589, 1.9318, 0.4264], [-0.3470, -1.3698, 0.6358], [0.2801, -1.7400, -1.0503], [2.1404, -0.3136, -0.6149], [1.8208, -0.1238, 1.1852]],
  "forces_ev_per_a": [[-2.1992, 0.0818, -1.1682], [-0.8999, -0.0731, -0.8288], [0.9623, -1.7877, -0.7381], [-0.9453, 0.3048, 0.5220], [2.4479, -0.1624, 0.9485], [1.9032, -0.0358, 1.3297], [0.5590, -0.1843, 0.5888], [-0.6944, 1.7857, 0.7662], [0.2562, -0.7092, 0.0251], [-0.4057, 0.3629, 0.5116], [0.2681, 0.5561, 0.2384], [-1.2522, -0.1388, -2.1953]],
  "fmax_ev_per_a": 2.63,
  "gap_ev": 8.13,
  "e_homo_ha": -0.297,
  "relative_energy_ev": 5.2402,
  "total_energy_ev": -7324.0443
}

***
........
• So much for the calculated molecules:

Soon is sheer chance
Salewski is right. Scenarios are of course always tied much more to the present than their subject indicates. And they are always intended to enable policy-makers to evaluate certain choices against the desirability of the consequences of those choices, should one such scenario become reality. A decision is never taken solely on the basis of one scenario study, however, but the images and argumentation presented with the results always have an effect, no matter how fleeting they may be. After all, urban planners today cannot draw on anything but statistics from the past — that cannot by definition be any later than yesterday — to make plans for tomorrow. And then you need prognoses, whether they concern demography, social themes, macro-economic trends or climate predictions. But determining or changing the future compared to today is really something else. That is not a role for spatial scenarios.

Spread from the book discussed here.

Soon is fluid
Salewski does more. He convincingly shows that scenarios in physical planning and design before 2000 synchronized to a high degree with the ideal of shaping society. And that, Salewski argues, is precisely where things went wrong. “[…]not only do scenarios exclude all the interesting developments that happen due to implausible behaviours and chance, they also force the scenario-builders to paint a uniform, homogeneous image of a future society. This is exactly what physical planning and design should not be about.” Or, as urban planner Wim Hartman once stated in his book The Fluid City, every individual remakes his or her space over and over, and all decisions made by those individuals together make or determine the space. Not the plan, which plays another role.

Soon is soon
It was high time that someone set this period of Dutch urban planning in the right context, and high time too that the profession came to realize for once and for all that it is never about the image of the future outlined in a scenario but about the communicative power of a story presented in words and pictures. It is for this, and for the copious images and perfect design, that this book deserves the designation as a standard work.
Nonetheless, thinking about the future with the help of scenarios remains a useful exercise. That they never materialise is not the issue, for they always concern the present. And no matter who delivers the message, the publications, especially when they are harbingers of bad news, invariably make headlines. If we don’t move in that direction, then…if we don’t soon cease that, then…if we don’t do something about the divide, then…then what? All you know for certain is that there is a topical pretext to call for something and that it serve a defined aim. Legitimate, certainly, but it’s got little to do with the future.